Data =
+++
The following is a DFT calculation (PBE-GGA) of a geometry-optimized Ti2CdO6 structure.

a = 5.9572 Å, b = 6.0921 Å, c = 6.4757 Å
α = 90.00°, β = 95.21°, γ = 90.00°
Last column: nearest neighbours and their distance in Å.
Space group P2_1 (No. 4)
One atom of each set of equivalent atoms:
Ti1 0.0020 0.0000 0.1606 (multiplicity 2)  4 O 1.75-1.93
Ti2 0.4593 0.4250 0.5287 (multiplicity 2)  6 O 1.90-2.10
Cd1 0.0882 0.9950 0.6665 (multiplicity 2)  6 O 2.27-2.52
O1 0.0415 0.7893 0.9573 (multiplicity 2)  2 Ti 1.87-1.93
O2 0.1456 0.3619 0.6289 (multiplicity 2)  2 Ti 1.89-2.07
O3 0.2607 0.0358 0.3068 (multiplicity 2)  1 Ti 1.75
O4 0.3173 0.5150 0.2546 (multiplicity 2)  1 O 1.44
O5 0.3500 0.7367 0.6103 (multiplicity 2)  2 Ti 1.90-2.09
O6 0.4812 0.1472 0.7226 (multiplicity 2)  1 O 1.44

Calculated values
* MP2020-corrected energy: -7.29 eV/atom
* magnetization: 0.001 μB/f.u.
* energy relative to the elements: -2.133 eV/atom


(1)
Computed, not measured: a geometry-optimized ZnMoF6 structure at the PBE+U level of DFT.

Cell: 5.6889 5.6889 5.6889 Å, 57.13 57.13 57.13°
Last column: nearest neighbours and their distance in Å.
Atoms (fractional coordinates):
Zn: 0.5000 0.5000 0.5000  6 F 2.05
Mo: 0.0000 0.0000 0.0000  6 F 2.00
F: 0.6627 0.8442 0.2433  1 Mo 2.00, 1 Zn 2.05
F: 0.8442 0.2433 0.6627  1 Mo 2.00, 1 Zn 2.05
F: 0.7567 0.3373 0.1558  1 Mo 2.00, 1 Zn 2.05
F: 0.1558 0.7567 0.3373  1 Mo 2.00, 1 Zn 2.05
F: 0.3373 0.1558 0.7567  1 Mo 2.00, 1 Zn 2.05
F: 0.2433 0.6627 0.8442  1 Mo 2.00, 1 Zn 2.05

Output
The total energy comes out at -39.2 eV/cell. For the energy of formation from the pure elements, the calculation gives -2.70 eV per atom. The space-group type is R-3 (148).



(2)
Computed, not measured: a geometry-optimized NiNF3 structure at the PBE+U level of DFT.

Cell: 3.9288 3.9288 3.9288 Å, 90.00 90.00 90.00°
Last column: nearest neighbours and their distance in Å.
Atoms (fractional coordinates):
Ni: 0.5000 0.5000 0.5000  6 F 1.96
N: 0.0000 0.0000 0.0000  12 F 2.78
F: 0.0000 0.5000 0.5000  2 Ni 1.96
F: 0.5000 0.5000 0.0000  2 Ni 1.96
F: 0.5000 0.0000 0.5000  2 Ni 1.96

Output
For the energy above the lowest structure with this stoichiometry, the calculation gives 27.9 kJ per mole of atoms. For the total magnetization, the calculation gives 2.09 μB/f.u. The total energy comes out at -16.4 eV/cell. For the energy of formation from the pure elements, the calculation gives -0.09 eV per atom. The space-group type is Pm-3m (221).


i.
Computed, not measured: crystalline Li2Co3SnO8 at its relaxed geometry at the GGA+U level of DFT.

Output
M_tot: 8.0 μB per cell

a b c (Å): 12.0225 12.0293 8.4929
angles (deg): 90.00 90.13 90.00
Closest atoms and distances in Å follow each position.
Space group C2 (No. 5)
Asymmetric unit:
Li (0.1222, 0.0000, 0.3766) [4 per cell]  4 O 2.01-2.05
Li (0.1235, 0.4990, 0.3732) [4 per cell]  4 O 2.00-2.04
Li (0.1233, 0.7492, 0.1243) [4 per cell]  4 O 1.99-2.05
Li (0.1255, 0.2512, 0.1267) [4 per cell]  4 O 2.01-2.04
Co (0.0000, 0.0083, 0.0000) [2 per cell]  6 O 1.98-2.01
Co (0.0000, 0.7435, 0.5000) [2 per cell]  6 O 1.88-1.93
Co (0.1282, 0.6199, 0.7400) [4 per cell]  6 O 1.99-2.05
Co (0.1299, 0.1289, 0.7585) [4 per cell]  6 O 1.98-2.03
Co (0.1346, 0.3748, 0.7492) [4 per cell]  6 O 1.96-2.03
Co (0.2440, 0.7446, 0.4889) [4 per cell]  6 O 1.95-2.06
Co (0.2450, 0.0050, 0.0110) [4 per cell]  6 O 1.96-2.06
Sn (0.0000, 0.2497, 0.5000) [2 per cell]  6 O 2.10-2.11
Sn (0.0000, 0.5002, 0.0000) [2 per cell]  6 O 2.10-2.11
Sn (0.1244, 0.8744, 0.7501) [4 per cell]  6 O 2.09-2.12
O (0.0101, 0.7425, 0.7270) [4 per cell]  2 Co 1.93-2.05, 1 Li 2.05, 1 Sn 2.11
O (0.0128, 0.0089, 0.7637) [4 per cell]  2 Co 2.01-2.02, 1 Li 2.02, 1 Sn 2.11
O (0.0182, 0.2550, 0.7461) [4 per cell]  2 Co 2.01-2.03, 1 Li 2.04, 1 Sn 2.10
O (0.0176, 0.4954, 0.7531) [4 per cell]  1 Li 2.00, 2 Co 2.01-2.02, 1 Sn 2.11
O (0.1126, 0.8546, 0.5027) [4 per cell]  2 Co 1.90-2.06, 1 Li 2.05, 1 Sn 2.12
O (0.1159, 0.6386, 0.5068) [4 per cell]  3 Co 1.88-2.01, 1 Li 2.03
+++

What to do =
Filter the entries further up: keep the lines with the word "structure".

Done =
The following is a DFT calculation (PBE-GGA) of a geometry-optimized Ti2CdO6 structure.
Computed, not measured: a geometry-optimized ZnMoF6 structure at the PBE+U level of DFT.
Computed, not measured: a geometry-optimized NiNF3 structure at the PBE+U level of DFT.
For the energy above the lowest structure with this stoichiometry, the calculation gives 27.9 kJ per mole of atoms. For the total magnetization, the calculation gives 2.09 μB/f.u. The total energy comes out at -16.4 eV/cell. For the energy of formation from the pure elements, the calculation gives -0.09 eV per atom. The space-group type is Pm-3m (221).